~~~
This record from the OMol25 dataset describes C14H29Br2F3NbO as an isolated structure. The level of theory is the ωB97M-V functional and the def2-TZVPD basis.

The LUMO energy comes out at 0.091 Ha. The calculation puts the gap between HOMO and LUMO at 7.04 eV. The charge is -1. As for the total energy: -166817.852 eV. Its highest occupied orbital energy is -4.6 eV.

Structure (XYZ):
```
50
C14H29Br2F3NbO (the ωB97M-V functional and the def2-TZVPD basis)
H 4.25 1.03 -1.93
H -2.43 -2.45 -2.51
H 5.38 -1.11 0.61
Br 0.83 4.06 -0.52
H 1.67 -1.06 2.62
H 0.71 -2.89 1.13
H 2.82 0.01 -2.16
C 3.32 0.68 -1.47
F -1.78 4.40 1.53
C -2.50 -1.61 -3.18
C -3.51 -1.99 2.69
F -1.80 5.18 -0.44
H -2.59 0.43 -2.53
H 3.52 0.64 0.69
H -2.88 -0.73 1.13
H -1.42 1.20 0.55
Nb 0.73 -1.04 1.05
C -0.24 -1.20 -0.99
H -3.28 -2.99 3.05
C -2.46 -1.59 1.64
H -2.35 -2.39 0.91
C -0.65 1.90 0.85
H -2.03 -1.82 -4.13
H 5.77 0.39 -0.25
H 1.02 1.49 2.10
H -3.55 -1.42 -3.35
C -1.85 -0.36 -2.54
H -1.30 -0.18 2.79
H 0.46 -0.74 -1.70
C 3.64 -0.04 -0.15
H 5.25 -0.98 -1.17
H -1.01 2.29 1.79
Br -3.67 3.38 -0.12
H 2.55 -1.71 -0.97
F -1.18 2.53 -1.34
H -0.95 -1.84 3.12
C -1.15 -1.15 2.30
C 5.11 -0.47 -0.22
H -0.98 -0.04 -3.11
H 3.31 -2.04 0.54
C -1.90 4.05 0.27
C 0.72 1.26 1.08
H -4.52 -1.94 2.30
H -0.28 -2.25 -1.30
C -0.77 3.04 -0.15
C 2.73 -1.28 0.02
H -3.42 -1.33 3.54
H 1.50 1.71 0.47
O -1.53 -0.59 -1.20
H 2.68 1.55 -1.35
```

---

This record from the OMol25 dataset describes C5H8NO as an isolated structure. The level of theory is the ωB97M-V functional and the def2-TZVPD basis.

The LUMO energy comes out at -0.242 Ha. The calculation puts the gap between HOMO and LUMO at 8.64 eV. The charge is +1. As for the total energy: -8839.657 eV. Its highest occupied orbital energy is -15.2 eV.

Structure (XYZ):
```
15
C5H8NO (the ωB97M-V functional and the def2-TZVPD basis)
N 3.32 -1.30 0.96
H -0.98 1.22 -2.05
C 2.20 -1.34 1.18
O 0.93 -1.43 1.43
H -1.00 -1.57 0.72
H -1.21 -0.64 -1.76
H -0.77 2.33 0.39
H -2.21 0.58 -1.20
H 0.07 1.19 1.59
C -1.18 0.39 -1.39
C -0.07 1.60 0.51
H 0.83 1.80 -0.01
C -0.31 0.48 -0.27
C 0.04 -1.34 0.41
H 0.31 -1.99 -0.52
```

---

This record from the OMol25 dataset describes a 2-piece molecular cluster, CHN3O3 overall. The level of theory is the ωB97M-V functional and the def2-TZVPD basis.

The LUMO energy comes out at -0.132 Ha. The calculation puts the gap between HOMO and LUMO at 6.86 eV. The charge is 0. As for the total energy: -11654.651 eV. Its highest occupied orbital energy is -10.4 eV.

Structure (XYZ):
```
8
CHN3O3 (the ωB97M-V functional and the def2-TZVPD basis)
N -0.12 -1.31 -0.02
O 3.92 0.34 0.40
C 2.62 -1.21 -0.62
N 3.13 -0.51 0.16
O 0.13 -0.35 -1.04
N 0.73 -2.03 0.44
H -0.68 0.18 -0.93
O -1.29 -1.48 0.35
```
~~~

Count the lines further above that contain the word "Br" and give the number alone.

2